Set up Amazon Connect Cases event streams - Amazon Connect

Set up Amazon Connect Cases event streams

This topic explains how to set up and use case event streams. Some of the onboarding steps require you to call Amazon Connect Cases APIs.

Step 1: Create an Amazon Connect instance and enable Customer Profiles

  1. Ensure you have an working Amazon Connect instance in one of the AWS Regions where Cases is available. See Cases availability by Region.

  2. Enable Amazon Connect Customer Profiles. For instructions, see Enable Customer Profiles for your Amazon Connect instance.

    Amazon Connect Cases requires Customer Profiles because each case must be associated with a customer profile from the Customer Profiles service.

Step 2: Add a Cases domain to your Amazon Connect instance

For instructions, see Enable Cases using the Amazon Connect console.

If you want to add a case domain using the API, see the CreateDomain API in the Amazon Connect Cases API Reference.

Step 3: Create a case template

Create a case template. In Step 6: Test case event streams, you'll use the template.

If you want to create a case template using the API, see the CreateTemplate API in the Amazon Connect Cases API Reference.

Step 4: Enable case event streams and setup to receive events into an SQS queue

Run the following command to enable case event streams for your Cases domain. After this command runs, when cases are created or updated, an event is published to the default-bus of the EventBridge service in your account (it must be in the same AWS Region as your Cases domain).

aws connectcases put-case-event-configuration --domain-id dad5efb6-8485-4a55-8241-98a88EXAMPLE --event-bridge enabled=true

By default, the events published by Amazon Connect Cases only contain metadata about the case, such as templateId, caseId, caseArn, approximateChangeTime, and more. You can run the following command to get more information about the case (at the time the event was generated) to be included in the event.


If you want to include a custom field in the event, use the custom field ID. For instructions about how to locate the custom field ID, see Find the custom field ID.

# You can include any other field defined in your cases domain in the fields section. # To list the fields that are defined in your cases domain, call the Cases ListFields API. # To include case fields that you create (custom fields) in the event, enter the custom field ID. aws connectcases put-case-event-configuration --domain-id YOUR_CASES_DOMAIN_ID --event-bridge "{ \"enabled\": true, \"includedData\": { \"caseData\": { \"fields\": [ { \"id\": \"status\" }, { \"id\": \"title\" }, { \"id\": \"customer_id\" }, { \"id\": \"your custom field ID\" } ] }, \"relatedItemData\": { \"includeContent\": true } } }"

Next, create an Amazon SQS queue and set that as a target for the Amazon Connect Cases events on your EventBridge bus so that all the case events are delivered to the SQS queue for later processing.

# Create an SQS queue aws sqs create-queue --queue-name case-events-queue --attributes "{\"Policy\": \"{ \\\"Version\\\": \\\"2012-10-17\\\", \\\"Statement\\\": [{ \\\"Sid\\\": \\\"case-event-subscription\\\", \\\"Effect\\\": \\\"Allow\\\", \\\"Principal\\\": { \\\"Service\\\": \\\"\\\"}, \\\"Action\\\": \\\"SQS:SendMessage\\\", \\\"Resource\\\": \\\"*\\\"}]}\"}" # Create an rule on the EventBridge defualt bus that represents the case events aws events put-rule --name case-events-to-sqs-queue --event-pattern "{\"source\": [\"aws.cases\"]}" --state ENABLED # Ask event bridge to publish case events to the SQS queue. aws events put-targets --rule case-events-to-sqs-queue --target "[{ \"Id\": \"target-1\", \"Arn\": \"arn:aws:sqs:The AWS Region of your Amazon Connect instance:your AWS account ID:case-events-queue\" }]"

Step 5: Test case event streams

Use the Amazon Connect agent application to:

  1. Accept a chat contact.

  2. Create a customer profile and associate that to the chat contact.

  3. Create a case.


    The Create case button on the Cases tab is inactive until you accept a contact and associate that contact with a customer profile.

Misplaced records of crystals:
********
No. 1
BeCdCo2 | PBE | optimized geometry

The structure in POSCAR format:
```
BeCdCo2
1.0
2.495 -4.075 0.000
2.495 4.075 0.000
-0.689 0.000 2.520
Be Cd Co
1 1 2
Direct
0.000 0.000 0.000 Be
0.500 0.500 0.000 Cd
0.000 0.500 0.500 Co
0.500 0.000 0.500 Co
```

## Properties
M_tot	2.8	μB/f.u.
DOS(E_F)	3.91	states/eV per cell
volume	51.2	Å³ per cell
energy of formation	0.388	eV/atom

---

No. 2
Rb3Hg2Te4 | PBE | optimized geometry

The structure in POSCAR format:
```
Rb3Hg2Te4
1.0
9.516 -2.501 0.000
9.516 2.501 0.000
-3.011 0.000 7.700
Rb Hg Te
3 2 4
Direct
0.000 0.000 0.000 Rb
0.137 0.137 0.567 Rb
0.863 0.863 0.433 Rb
0.335 0.335 0.033 Hg
0.665 0.665 0.967 Hg
0.209 0.209 0.177 Te
0.482 0.482 0.303 Te
0.518 0.518 0.697 Te
0.791 0.791 0.823 Te
```

## Properties
M_tot	0.0	μB/f.u.
DOS(E_F)	4.87	states/eV per cell
volume	366.5	Å³ per cell
final energy	-2.395	eV/atom

---

No. 3
PmHoGa6 | PBE | optimized geometry

The structure in POSCAR format:
```
PmHoGa6
1.0
6.322 0.000 0.000
-3.161 5.475 0.000
0.000 0.000 4.598
Pm Ho Ga
1 1 6
Direct
0.000 0.000 0.000 Pm
0.667 0.333 0.500 Ho
0.039 0.520 0.000 Ga
0.189 0.378 0.500 Ga
0.189 0.811 0.500 Ga
0.480 0.520 0.000 Ga
0.480 0.961 0.000 Ga
0.622 0.811 0.500 Ga
```

## Properties
M_tot	0.0	μB/f.u.
DOS(E_F)	2.87	states/eV per cell
volume	159.2	Å³ per cell
energy of formation	-0.545	eV/atom

---

No. 4
CaH4Pd4 | PBE | optimized geometry

The structure in POSCAR format:
```
CaH4Pd4
1.0
4.992 -1.952 0.000
4.992 1.952 0.000
-4.983 0.000 5.004
Ca H Pd
1 4 4
Direct
0.000 0.000 0.000 Ca
0.170 0.170 0.501 H
0.333 0.333 0.161 H
0.667 0.667 0.839 H
0.830 0.830 0.499 H
0.182 0.182 0.796 Pd
0.385 0.385 0.567 Pd
0.615 0.615 0.433 Pd
0.818 0.818 0.204 Pd
```

## Properties
M_tot	0.0	μB/f.u.
DOS(E_F)	1.22	states/eV per cell
volume	97.5	Å³ per cell
final energy	-4.378	eV/atom
********
So much for the records of crystals:

Navigate to the Amazon SQS console and check that a case event (type: CASE.CREATED) for the newly created case is available in your SQS Queue. Similarly, you can modify the case created above and get a corresponding case event (type: CASE.UPDATED) in your SQS queue. You can associate the contact to the case, and leave a comment on the case to get case events for those actions, too.

Step 6: Use cases for the case event streams

Case event streams publish events every time a case is created, case is updated, contact is associated to the case, and comment is added on a case. You can use these events for:

  • Metrics, analytics and dashboards

  • Build Apps that notify users (for example, send emails)

  • Automated actions that are triggered based on certain type of case updates

For example, you can use the SQS target on EventBridge (as shown on step 4) to temporarily store the case events in the SQS queue, and use Lambda functions to process events in the SQS to build custom applications such as sending emails to the customer when their case is updated, automatically resolving any tasks linked to the case, and more. Similarly, you can use the Firehose target on the EventBridge to store the case events into an S3 bucket and then use the AWS Glue for ETL, Athena for ad-hoc analytics, and Amazon QuickSight for dashboards.